Leadership and The Art of Persuasion


Most people only know about rhetoric when it is 'empty' - could you, hand on heart, say what it actually was? Until I read a book just recently I didn't quite understand how important the mastery of this could be for leaders and managers too (and I don't mean the mastery of empty rhetoric!). The book, 'You Talkin' to Me - Rhetoric from Aristotle to Obama' by Sam Leith, is a fantastically good read http://amzn.to/vE1jMg . It helps you to understand the basics and more importantly what you can do to get better.

Rhetoric - the art of persuasion: the attempt by one human being to influence another in words. Simple isn't it. And isn't that something that every single day we have to do, in almost every part of what we do as leaders or managers of teams? We don't work in businesses where people simply follow orders. We have instructions and requests, and things that we want to have happen to get things done, but almost all of the time our conversations with people involve some sort of persuasion.

Would you mind....? How about if....? I know how you might be feeling about this as I've been there, but..;What you need to do is not only talk the talk, but walk the talk.... We all have our styles and methods, some good, some (very) bad! The book is great in describing what exactly is going on when we use these words and phrases, with the terms and names, if you want to learn them (- I didn't), and by doing so can teach you loads.

Example: 'Friends, Romans, Countrymen, lend me your ears...' - an appeal to Ethos - 'I am like you, we (friends), are together and you should really listen to me.....' If you only learn about Ethos, Logos and Pathos you will be well on your way!

With famous speeches from Churchill, Obama and many others, as well as lesser known examples, Sam Leith takes you through the whole thing. I highly recommend it as almost essential reading for leaders and managers who need to persuade people, and those like me who, from time to time have to get up and speak to bigger groups or teams......Isn't that all of us though?

(P.S. Have I persuaded you?!)

Leadership: 'the ability to inspire followship' #6

~~~
Compound: TiCo3Ir
Source: Alexandria
Functional: PBE
Structure: relaxed

Total magnetic moment ... 4.47 μB per cell
E_form ... 1.182 eV/atom
Offset from the most stable computed form ... 3.4 kJ/mol of atoms

Cell lengths 4.5046, 4.5046, 4.5046 Å; angles 90.00, 90.00, 90.00 degrees
With the nearest neighbours (Å) after each atom.
Space group Pm-3m (No. 221)
Symmetry-distinct sites (fractional):
Ti 0.0000 0.0000 0.0000 [1 per cell]  12 Co 3.19
Co 0.0000 0.5000 0.5000 [3 per cell]  2 Ir 2.25
Ir 0.5000 0.5000 0.5000 [1 per cell]  6 Co 2.25


1.
A plane-wave DFT calculation with SCAN was carried out for Pr2Al19Co6 at its PBEsol-relaxed geometry.

Symmetry ... C2/m, No. 12
Size of the total moment ... 0.000 μB per atom
Energy relative to the elements ... -0.4830 eV per atom
D(E_F) ... 0.242 states/eV/atom

Cell: 8.1638 10.5977 10.5977 Å, 68.98 78.46 78.46°
Atoms (fractional coordinates):
1 Al 0.0570 0.8108 0.4598
2 Al 0.5351 0.2983 0.0630
3 Al 0.4481 0.5191 0.1857
4 Al 0.3598 0.0803 0.0803
5 Al 0.2343 0.9984 0.4972
6 Al 0.5351 0.0630 0.2983
7 Al 0.0000 0.8296 0.1704
8 Al 0.6474 0.5618 0.3301
9 Al 0.9430 0.1892 0.5402
10 Al 0.6402 0.9197 0.9197
11 Al 0.6383 0.8501 0.2018
12 Al 0.0570 0.4598 0.8108
13 Al 0.9430 0.5402 0.1892
14 Al 0.3526 0.6699 0.4382
15 Al 0.1552 0.5654 0.3311
16 Al 0.5519 0.8143 0.4809
17 Al 0.1552 0.3311 0.5654
18 Al 0.3526 0.4382 0.6699
19 Al 0.2343 0.4972 0.9984
20 Al 0.4649 0.9370 0.7017
21 Al 0.8141 0.0864 0.0864
22 Al 0.6474 0.3301 0.5618
23 Al 0.1859 0.9136 0.9136
24 Al 0.9485 0.7289 0.9534
25 Al 0.4649 0.7017 0.9370
26 Al 0.0515 0.2711 0.0466
27 Al 0.3617 0.7982 0.1499
28 Al 0.7657 0.5028 0.0016
29 Al 0.9485 0.9534 0.7289
30 Al 0.0000 0.1704 0.8296
31 Al 0.7657 0.0016 0.5028
32 Al 0.8448 0.4346 0.6689
33 Al 0.3617 0.1499 0.7982
34 Al 0.4481 0.1857 0.5191
35 Al 0.0515 0.0466 0.2711
36 Al 0.6383 0.2018 0.8501
37 Al 0.8448 0.6689 0.4346
38 Al 0.5519 0.4809 0.8143
39 Co 0.4050 0.4390 0.4390
40 Co 0.6693 0.0836 0.6856
41 Co 0.3307 0.9164 0.3144
42 Co 0.5950 0.5610 0.5610
43 Co 0.9057 0.4386 0.4386
44 Co 0.3307 0.3144 0.9164
45 Co 0.1885 0.6799 0.0796
46 Co 0.8115 0.3201 0.9204
47 Co 0.6693 0.6856 0.0836
48 Co 0.8115 0.9204 0.3201
49 Co 0.1885 0.0796 0.6799
50 Co 0.0943 0.5614 0.5614
51 Pr 0.7735 0.7203 0.7203
52 Pr 0.7456 0.2786 0.2786
53 Pr 0.2265 0.2797 0.2797
54 Pr 0.2544 0.7214 0.7214

---

2.
A plane-wave DFT calculation with SCAN was carried out for Mg2SbBr at its PBEsol-relaxed geometry.

Symmetry ... Pm, No. 6
ΔE_f (raw) ... -700 meV per atom
Relative energy among the computed polymorphs ... 0.0 meV per atom
Size of the total moment ... 0.000 μB per atom
D(E_F) ... 0.128 states/eV/atom

Cell: 4.1795 4.2503 5.5872 Å, 90.00 90.00 90.14°
Atoms (fractional coordinates):
1 Sb 0.5852 0.3791 0.0000
2 Mg 0.6937 0.3689 0.5000
3 Mg 0.0868 0.8790 0.0000
4 Br 0.1342 0.8731 0.5000

---

3.
A plane-wave DFT calculation with SCAN was carried out for RbBa2Hf2 at its PBEsol-relaxed geometry.

Symmetry ... I4/mmm, No. 139
~~~
(The article goes on)

To be a Leader... (more 'Shoulds' rather than Musts...) One SHOULD:

Understand and Know How to Deploy Technology
  1. Search for breakthrough technologies and practices
  2. Make critical links between technology and the market place
  3. Follow rigorously an innovation process
  4. Be open to new ideas
  5. Strive to continuously shorten the innovation cycle
  6. Aim for lowest cost in innovative ways
  7. Satisfy customer's expectations proactively
  8. Try to obsolete the existing and be impatient for change
  9. Think BIG
Be Able to Deal with Ambiguity
  1. Be comfortable with 'grey' situations
  2. Understand that compromise and 'muddling through' are acceptable as long as basic values and goals are not compromised
  3. Manage 'dotted line' relationships as effectively as 'solid line'
  4. Deal constructively with conflict and disagreement
  5. Build good working relationships with people beyond one's sphere of control
  6. Separate the important from the unimportant
Have a Balanced and Healthy Life Style
  1. Take care of one's physical condition
  2. Get enough time away from the job
  3. Create balance between work and non-work activities
  4. Use other interests for new perspectives

Leadership: 'the ability to inspire followship' #5

### What comes next are materials data, not part of the piece
********
[1]
VASP calculation (PBE) on a relaxed La3Pr6Ho crystal.

As for the energy relative to the lowest polymorph listed for this composition: 0.000 eV/atom. The spin magnetization comes out at 0.000 μB/atom. The value obtained for the density of states at the Fermi level is 14.2 states/eV/f.u. For the formation energy from the elements, the calculation gives 15.6 kJ/mol of atoms.

Cell lengths 13.7014, 16.5254, 6.4376 Å; angles 90.00, 90.00, 90.00 degrees
Space group Cmc2_1 (No. 36)
Unique sites:
La (0.0000, 0.1361, 0.0000) (multiplicity 4)
La (0.2067, 0.4284, 0.3639) (multiplicity 8)
Pr (0.0000, 0.2421, 0.5239) (multiplicity 4)
Pr (0.0000, 0.4393, 0.6359) (multiplicity 4)
Pr (0.1197, 0.0595, 0.4822) (multiplicity 8)
Pr (0.2244, 0.2902, 0.8131) (multiplicity 8)
Ho (0.0000, 0.3473, 0.0878) (multiplicity 4)

[2]
VASP calculation (PBE) on a relaxed PrPu3Ru3 crystal.

The spin magnetization comes out at 2.065 μB/atom. The value obtained for the density of states at the Fermi level is 12.9 states/eV/f.u. For the formation energy from the elements, the calculation gives 43.5 kJ/mol of atoms.

Cell lengths 7.2144, 7.2144, 7.2144 Å; angles 90.00, 90.00, 90.00 degrees
Space group Pm-3n (No. 223)
Unique sites:
Pr (0.0000, 0.0000, 0.0000) (multiplicity 2)
Pu (0.0000, 0.2500, 0.5000) (multiplicity 6)
Ru (0.0000, 0.5000, 0.2500) (multiplicity 6)

[3]
VASP calculation (PBE) on a relaxed Nd5MgTl8 crystal.

The spin magnetization comes out at 0.000 μB/atom. The value obtained for the density of states at the Fermi level is 10.1 states/eV/f.u. For the formation energy from the elements, the calculation gives -23.6 kJ/mol of atoms.

Cell lengths 9.5225, 9.5225, 9.2419 Å; angles 90.00, 90.00, 90.00 degrees
Space group I-4 (No. 82)
Unique sites:
Nd (0.0000, 0.0000, 0.0000) (multiplicity 2)
Nd (0.1139, 0.7488, 0.6373) (multiplicity 8)
Mg (0.0000, 0.5000, 0.2500) (multiplicity 2)
Tl (0.0767, 0.6655, 0.9797) (multiplicity 8)
Tl (0.0781, 0.8161, 0.2942) (multiplicity 8)

[4]
VASP calculation (PBE) on a relaxed YBi2Ir crystal.

As for the energy relative to the lowest polymorph listed for this composition: 0.000 eV/atom. The spin magnetization comes out at 0.000 μB/atom. The value obtained for the density of states at the Fermi level is 5.7 states/eV/f.u. For the formation energy from the elements, the calculation gives -0.1 kJ/mol of atoms.

Cell lengths 7.2781, 7.2781, 7.2781 Å; angles 90.00, 90.00, 90.00 degrees
Space group Fm-3m (No. 225)
Unique sites:
Y (0.0000, 0.0000, 0.0000) (multiplicity 4)
Bi (0.2500, 0.2500, 0.2500) (multiplicity 8)
Ir (0.0000, 0.0000, 0.5000) (multiplicity 4)

[5]
VASP calculation (PBE) on a relaxed Sr2Bi3Rh4Pb crystal.

The spin magnetization comes out at 0.000 μB/atom. The value obtained for the density of states at the Fermi level is 9.0 states/eV/f.u. For the formation energy from the elements, the calculation gives -38.1 kJ/mol of atoms.

Cell lengths 4.6841, 4.6841, 11.1773 Å; angles 90.00, 90.00, 90.00 degrees
Space group P-4m2 (No. 115)
********

To be a Leader... (now for the 'Shoulds' rather than the 'Musts'...) One SHOULD:

Have Had Different Work Experiences
  1. Have experience in both line and staff positions
  2. Be exposed to different disciplines like Marketing, Manufacturing & Finance
  3. Use your experience to be sensitive to different view points
 Have Developed an International Orientation
  1. Take the opportunity to live or travel extensively outside ones own country
  2. Build understanding of different cultures
  3. Be comfortable and effective in working and travelling in the 'global village'
  4. Speak a foreign language if possible
  5. Use international experience in business dealings
  6. Practice diversity as a real competitive advantage
Be Financially Adept
  1. Understand and be comfortable with P&L and Balance Sheet Management
  2. Have good analytical skills
  3. Be able to grasp detail
  4. Be comfortable using basic financial tools
  5. Comprehend and use economic data and trends to advantage
  6. Understand financial markets

Leadership: 'the ability to inspire followship' #4

To be a leader one MUST:

Develop Good Strong Subordinates for Succession
  1. Look constantly for people smarter than oneself
  2. Spot future leaders and mentor them
  3. Set high standards in people selection
  4. Take chances, especially with young people
  5. Get 'uncommon' results from 'common' people
  6. Promote based on Values, Vision and Performance
  7. Make career development a top priority
Be an Optimist and have a Sense of Humour
  1. Laugh constantly about life's quirks and especially oneself
  2. Display enthusiasm and infect others with it
  3. Kid other people in a non malicious way
  4. Always be an optimist, especially in the darkest hour
  5. Have a persistent, can-do attitude
  6. Develop accurate self-assessments, and change accordingly
  7. Appreciate luck

Leadership: 'the ability to inspire followship' #3

To be a leader one MUST:

Be a Catalyst for Change
  1. Champion new ideas
  2. Tolerate and support unconventional people
  3. Be willing to change everything except the basic values
  4. Keep learning, self improving, expanding and renewing
  5. Be intolerant of the status quo
  6. Drive constantly for better solutions
  7. Be flexible
Have Earned the Trust of the Organisation
  1. Build confidence and credibility
  2. Put the best interests of the company and its people above self
  3. Know that personal success comes only from group success
  4. Lack 'turf' consciousness
  5. Be perceived as a leader - not just a manager
  6. Lavish praise on others, accept blame personally
  7. Create an atmosphere that makes everyone want to work for you
Be a Listener and an Enabler
  1. Be visible
  2. Have enough modesty to doubt and question. Don't have all the answers
  3. Be a quality coach to others
  4. Show belief in team play and horizontal relationships
  5. Participate openly and encourage unafraid plain talk
  6. Ask for help when needed and shamelessly accept
  7. Say thank you and reward others
  8. Get uncommon results from common people

Leadership: 'the ability to inspire followship' #2

To be a leader one MUST:

Be Risk Taker

  1. Take the initiative
  2. Be decisive and move quickly when appropriate
  3. Accept responsibility
  4. Have no consuming fear of failure
  5. Hear and accept bad news, add it to experience, and move on
  6. Speak up and give opinions - without creating resentment
  7. Be quick to accept blame
  8. Reject, when appropriate, the logical and decide by instinct and heart
Have a Proven Track Record

  1. Do the right things to achieve superior profitability
  2. Demand outstanding performance over time. Hold yourself and your people accountable
  3. Regularly assess results and make necessary course corrections
  4. Concentrate on high impact opportunities
  5. Believe that preformance over time outweighs charisma
  6. Have a bias for action and a sense of urgency
  7. Be orientated at all times towards achievement

Leadership: 'the ability to inspire followship' #1

To be a leader one MUST:

Develop and Communicate a Rallying Vision
  1. Make it simple, clear, understandable
  2. Inspire others by selling one's ideas
  3. Be driven by customer needs
  4. Project self confidence
  5. Show commitment
  6. Focus on the long term
  7. Develop a 'road map' for achievement
Be a Strategic Thinker
  1. Understand customer expectations
  2. Utilise experience and intelligence to make good judgements
  3. Anticipate the future and spot 'paradigm shifts'
  4. Work comfortably at the conceptual level
  5. Balance short and long term business goals
  6. Understand corporate and unit strategies and goals
  7. Be willing to make trade offs
  8. Know your competition's strategies, strengths and weaknesses
  9. Capture reliable information from a variety of sources